Sunday, 16 November 2014

My Brilliant and Beloved Papa

Two weeks ago my father passed away.

My father had a huge influence on my work as a musician and on my creative life in general.

Michel Parry, or 'papa' as I more often called him, was a writer, horror anthologist and a dedicated collector of strange things.

As a child I marveled at his 'shelves of weird': the epicenter of a collection that included battery operated UFOs, macabre automatons, peculiar masks, a Medusa 'wig' and alien 'foetus' soap. As an adult I was better able to appreciate his vast library of books and 60s film and music posters.

Misplaced crystal structures
'''
KMgRu2 (PBE, optimized geometry); total DFT energy (no corrections) = -16.7 eV/cell; space group = No. 139; ΔE_f = 1.13 eV per atom; density = 5.93 g/cm3
1.0
5.497 0.003 0.000
2.632 4.826 0.000
-4.064 -2.415 2.805
K Mg Ru
1 1 2
Direct
0.250 0.750 0.500 K
0.750 0.250 0.500 Mg
0.000 0.000 0.000 Ru
0.500 0.500 0.000 Ru

***

Sr3DyTm3Se8 (PBE, optimized geometry); total DFT energy (no corrections) = -79.5 eV/cell; ΔE_f (raw) = -28.600 eV/f.u.; space group = No. 166; density = 6.20 g/cm3
1.0
-7.364 3.304 -1.707
1.782 -7.643 -2.547
-1.321 1.365 8.343
Sr Dy Tm Se
3 1 3 8
Direct
0.000 0.000 0.000 Sr
0.000 0.500 0.000 Sr
0.500 0.500 0.000 Sr
0.000 0.000 0.500 Dy
0.500 0.000 0.500 Tm
0.500 0.500 0.500 Tm
0.000 0.500 0.500 Tm
0.258 0.516 0.274 Se
0.742 0.484 0.726 Se
0.755 0.511 0.274 Se
0.245 0.489 0.726 Se
0.755 0.019 0.275 Se
0.245 0.981 0.725 Se
0.264 0.019 0.275 Se
0.736 0.981 0.725 Se

***

K2ScTa (PBE, optimized geometry); total DFT energy (no corrections) = -15.4 eV/cell; space group = No. 65; ΔE_f = 1.24 eV per atom; density = 4.18 g/cm3
1.0
-5.517 2.651 -3.960
0.352 -5.847 4.340
-0.866 1.677 2.330
K Sc Ta
2 1 1
Direct
0.000 0.000 0.000 K
0.500 0.500 0.000 K
0.500 0.000 0.500 Sc
0.000 0.500 0.500 Ta

***

BaCa2As (PBE, optimized geometry); total DFT energy (no corrections) = -12.9 eV/cell; space group = No. 65; ΔE_f = -0.59 eV per atom; density = 2.74 g/cm3
1.0
4.318 0.000 0.000
0.000 7.023 -0.011
0.000 3.920 5.830
As Ca Ba
1 2 1
Direct
0.500 0.250 0.250 As
0.000 0.093 0.093 Ca
0.000 0.407 0.407 Ca
0.500 0.750 0.750 Ba

***

LaNiIr3 (PBE, optimized geometry); total DFT energy (no corrections) = -35.0 eV/cell; space group = No. 221; ΔE_f = 0.45 eV per atom; density = 13.22 g/cm3
1.0
4.598 0.000 0.000
0.000 4.598 0.000
0.000 0.000 4.598
Ni Ir La
1 3 1
Direct
0.000 0.000 0.000 Ni
0.000 0.500 0.000 Ir
0.000 0.000 0.500 Ir
0.500 0.000 0.000 Ir
0.500 0.500 0.500 La

***

Ac5TbTl4 (PBE, optimized geometry); total DFT energy (no corrections) = -37.2 eV/cell; space group = No. 123; ΔE_f = -0.26 eV per atom; density = 9.71 g/cm3
1.0
3.943 0.000 0.000
0.000 3.943 0.000
0.000 0.000 23.218
Ac Tb Tl
5 1 4
Direct
0.500 0.500 0.110 Ac
0.500 0.500 0.304 Ac
0.500 0.500 0.500 Ac
0.500 0.500 0.696 Ac
0.500 0.500 0.890 Ac
0.000 0.000 0.000 Tb
0.000 0.000 0.207 Tl
0.000 0.000 0.402 Tl
0.000 0.000 0.598 Tl
0.000 0.000 0.793 Tl
'''
So much for the crystal structures

Thanks to my dad my childhood world was filled with a wealth of alternative film and children's literature. With great fondness I remember Dorrie, the Little Witch, whose 'hat was always on crooked and stockings never matched'; Raggedy Ann and Andy with their psychedelic cartoon adventures; and, of course, all those weird and wonderful Beatles films.

Dad took my brother and I on regular theatre trips to the Hackney Empire where we saw legendary productions of 'The Invisible Man' and 'The Curse of the Werewolf' along with numerous Christmas pantos. As a family, we also played homage to the Forkbeard Theatre Company, going to see almost every surreal show and exhibition. For many years an annual tradition was to go to the Punch and Judy Festival in Covent Garden of which there is much home video footage taken by my dad.

This music video from a band I used to perform with, Bear Driver, is made up of film shot by my dad on one typically offbeat family outing. The location is Dreamscape, a touring art space that resembled a gigantic and inside-out bouncy castle.

The trail of inspiration that my father gave me to follow will continue to direct my interests and the creative choices that I make for the rest of my life.

And, of course, I will miss him very much.

If you would be interested to know more about my dad's work in the field of horror and weird fiction then a good starting place is the Fantastic Fiction site which has a full list of the publications he was involved with. IMDB also links to film projects on which he was a writer, including the cult B-movie, Xtro.

I will be dedicating my next release to the memory of my father.


  1. Lovely sentiments! Michel was pretty unique!

  2. Super beautiful and touching tribute! awesome vid! Wishing all the beautiful memories of your dad will always warm your heart.. and journey with your soul. I am sure he will continue to inspire much magic and creativity in your life!
    Hugs kindred
